**Entries**
┌──
i | 21
Properties=species:S:1:pos:R:3 method="wB97M-V/def2-TZVPD" smiles=CC(C)[C@@H](N)CN total_charge=0 e_homo_ev=-8.793
H -0.68 -1.01 1.02
H -2.66 0.98 0.38
C -0.78 0.62 -0.54
H 0.63 1.13 -2.13
H 1.94 -0.63 -0.24
H -1.64 0.34 -1.31
C -1.65 1.41 0.53
N -0.32 -1.60 -1.06
C 0.18 1.66 -1.29
H -1.51 2.50 0.54
H 1.42 0.62 0.78
H 0.81 2.28 -0.81
H 0.00 -2.55 -0.76
C 1.19 -0.33 0.61
H 0.17 -1.19 -1.84
H 0.59 -1.43 2.31
N 1.47 -1.12 1.78
C -0.17 -0.63 -0.02
H -0.61 2.21 -1.83
H -1.31 1.14 1.59
H 2.17 -1.79 1.58

***

ii | 21
Properties=species:S:1:pos:R:3 method="wB97M-V/def2-TZVPD" smiles=CC(C)NCCN total_charge=0 e_homo_ev=-8.403
H 1.99 2.17 0.20
H -0.49 2.15 -0.89
H 0.76 -1.90 -2.04
C -1.42 -1.34 0.57
H 1.08 0.38 1.92
H -1.88 -0.45 0.16
N -0.12 2.73 -0.15
H -0.45 0.84 1.35
H 0.18 3.56 -0.66
H -0.91 -1.26 -2.07
H -0.52 -2.98 -1.61
C -0.03 -1.47 -0.11
H -1.31 -1.27 1.64
N 0.64 -0.19 -0.11
H 0.60 -2.19 0.43
C 0.57 0.72 0.99
H 1.58 -0.23 -0.50
H 0.96 2.75 1.54
C -0.22 -1.93 -1.55
H -1.99 -2.22 0.28
C 0.98 2.15 0.63

***

Most stable structure: ii

***

i | 17
Properties=species:S:1:pos:R:3 method="wB97M-V/def2-TZVPD" total_charge=0 e_homo_ev=-9.209
H 2.44 1.73 -0.71
C -2.69 -0.58 -0.04
H 0.49 1.78 0.74
H -2.07 -1.09 -1.12
C 1.15 -1.45 -0.15
H 2.74 -0.10 -0.79
C 2.08 0.95 -0.17
H 1.39 -2.55 -0.58
O 2.08 -1.09 0.59
H -3.83 -0.14 -0.28
C -0.30 0.18 0.10
N -0.24 -1.03 -0.22
N 0.52 1.28 -0.25
H -2.60 -1.05 1.13
H -2.14 1.44 0.30
H 2.65 1.13 1.07
N -1.67 0.56 0.40

***

ii | 17
Properties=species:S:1:pos:R:3 method="wB97M-V/def2-TZVPD" smiles="[H]/N=C(/NC)C(=O)NC" total_charge=0 e_homo_ev=-8.917
H 0.07 0.25 -2.04
O 1.34 0.50 1.81
N 0.79 -1.87 -0.71
H 1.07 2.13 0.01
H -2.10 -0.84 2.32
C -1.71 -0.33 1.44
N 0.89 1.19 -0.33
C 0.66 1.12 -1.75
H 0.07 2.00 -2.05
H -1.09 0.52 1.77
C 0.27 -1.02 0.08
H 1.61 1.14 -2.29
H -2.54 0.06 0.87
H 1.74 -1.65 -1.01
C 1.10 0.22 0.65
N -0.94 -1.24 0.63
H -1.23 -2.21 0.61

***

iii | 17
Properties=species:S:1:pos:R:3 method="wB97M-V/def2-TZVPD" total_charge=0 e_homo_ev="-7.498 / -7.059"
C 1.50 -1.87 0.05
H -2.48 -0.43 1.61
H 2.66 1.62 0.93
N -0.58 0.83 -1.64
N 1.37 1.08 -0.36
H -0.20 1.71 -1.96
O 1.83 1.14 1.01
C -2.11 -0.05 0.66
C 0.74 -0.89 -0.37
H -2.32 -0.77 -0.13
H -0.51 0.14 -2.38
H 2.55 -1.90 -0.22
C 0.13 0.43 -0.47
H 1.09 -2.73 0.56
N -0.67 0.14 0.75
H -0.36 0.69 1.54
H -2.64 0.88 0.43

***

iv | 17
Properties=species:S:1:pos:R:3 method="wB97M-V/def2-TZVPD" total_charge=0 e_homo_ev=-6.982
H 2.65 1.99 0.09
H -0.71 -0.45 1.37
O 0.10 -0.66 -0.94
H 2.04 -0.20 -0.35
H 0.55 -1.67 1.45
C 1.06 -0.04 0.12
N -1.98 -0.94 -1.74
H -2.63 -0.18 0.60
H -1.51 -1.25 -2.58
H 1.78 -0.58 2.03
N 0.67 1.36 0.07
C 1.58 2.23 0.08
H 1.30 3.27 0.11
C -1.19 -0.59 -0.69
H -2.91 -1.26 -1.58
N -1.65 -0.39 0.51
C 0.85 -0.63 1.46

***

Most stable structure: ii

***

i | 17
Properties=species:S:1:pos:R:3 method="wB97M-V/def2-TZVPD" smiles="C=C(N)/N=C(/O)NC" total_charge=0 e_homo_ev=-7.674
H 0.27 -2.08 -1.04
O -1.83 0.27 1.91
H -0.97 1.77 -1.57
H 0.14 1.12 2.17
N -0.52 1.00 -2.06
C -0.95 0.13 0.91
H 2.02 -0.02 0.36
H 2.10 0.14 2.11
N 0.26 0.66 1.27
H 0.33 1.17 -2.58
H 0.80 -1.20 -2.58
H -2.68 -0.04 1.55
C -0.47 -0.12 -1.27
H 1.22 -1.22 1.41
C 1.45 -0.16 1.28
N -1.41 -0.23 -0.22
C 0.25 -1.19 -1.64

***

ii | 17
Properties=species:S:1:pos:R:3 method="wB97M-V/def2-TZVPD" total_charge=0 e_homo_ev=-8.219
O 0.80 1.53 1.04
H -1.83 -0.74 1.26
H 2.75 -0.76 -0.44
H -0.13 -1.17 1.55
C -0.96 -1.27 0.86
C -0.66 -0.72 -0.52
H -2.49 -1.24 -1.26
H 0.45 3.06 -0.07
N -0.18 2.42 0.41
C 2.40 0.00 0.26
H 3.09 0.36 1.01
C 1.17 0.50 0.16
H -0.55 1.82 -0.34
N -1.52 -1.07 -1.52
N 0.31 0.09 -0.83
H -1.42 -0.48 -2.35
H -1.21 -2.33 0.77

***

Most stable structure: i

=====

A | # C9H13N2

An isolated ion of composition C9H13N2 and charge +1 (ωB97M-V/def2-TZVPD, OMol25).

Positions of all 24 atoms, in Å:
H -3.563 -0.209 -0.790
N -2.738 -0.315 -0.360
C -2.021 0.596 0.069
C -2.206 2.079 0.103
C -0.432 0.138 0.421
C 0.707 0.847 0.388
C 1.941 0.595 -0.006
└──

**Job**
Please filter the contents above: keep the lines with the word "method".

**Here it is**
Properties=species:S:1:pos:R:3 method="wB97M-V/def2-TZVPD" smiles=CC(C)[C@@H](N)CN total_charge=0 e_homo_ev=-8.793
Properties=species:S:1:pos:R:3 method="wB97M-V/def2-TZVPD" smiles=CC(C)NCCN total_charge=0 e_homo_ev=-8.403
Properties=species:S:1:pos:R:3 method="wB97M-V/def2-TZVPD" total_charge=0 e_homo_ev=-9.209
Properties=species:S:1:pos:R:3 method="wB97M-V/def2-TZVPD" smiles="[H]/N=C(/NC)C(=O)NC" total_charge=0 e_homo_ev=-8.917
Properties=species:S:1:pos:R:3 method="wB97M-V/def2-TZVPD" total_charge=0 e_homo_ev="-7.498 / -7.059"
Properties=species:S:1:pos:R:3 method="wB97M-V/def2-TZVPD" total_charge=0 e_homo_ev=-6.982
Properties=species:S:1:pos:R:3 method="wB97M-V/def2-TZVPD" smiles="C=C(N)/N=C(/O)NC" total_charge=0 e_homo_ev=-7.674
Properties=species:S:1:pos:R:3 method="wB97M-V/def2-TZVPD" total_charge=0 e_homo_ev=-8.219